File >
~~~
First-principles (PBE+U) data for an optimized crystal structure of MnV2O6, as listed in Materials Project.

Unit cell a=14.6649 b=3.5955 c=9.6937 alpha=90.00 beta=113.12 gamma=90.00
Last column: nearest neighbours and their distance in Å.
Space group C2/m (No. 12)
Unique sites:
Mn 0.2502 0.0000 0.2497  6 O 2.10-2.27
V 0.0853 0.0000 0.8671  2 O 1.68-1.71
V 0.0856 0.5000 0.3669  2 O 1.68-1.71
O 0.0431 0.0000 0.3244  3 V 1.89-2.06
O 0.0430 0.5000 0.8244  3 V 1.89-2.06
O 0.1197 0.0000 0.0542  1 V 1.68
O 0.1197 0.5000 0.5543  1 V 1.68
O 0.1906 0.0000 0.8312  1 V 1.71
O 0.1906 0.5000 0.3312  1 V 1.71

Results
The density comes out at 3.57 g/cm3. The value obtained for the uncorrected energy is -274.9 eV per cell. The energy of formation from the pure elements comes out at -20.9 eV/f.u.

---

First-principles (PBE+U) data for an optimized crystal structure of LiLa4CoO8, as listed in Materials Project.

Unit cell a=5.3694 b=12.7992 c=12.8047 alpha=60.46 beta=78.15 gamma=78.20
Last column: nearest neighbours and their distance in Å.
Space group P1 (No. 1)
Unique sites:
Li 0.0000 0.0000 0.0000  4 O 1.93-1.95
Li 0.2474 0.7506 0.7504  4 O 1.88-1.94
Li 0.5021 0.4996 0.4994  4 O 1.89-1.94
Li 0.7496 0.2499 0.2499  4 O 1.93-1.95
La 0.0038 0.3620 0.6376  5 O 2.34-2.61
La 0.0044 0.6368 0.3617  5 O 2.34-2.61
La 0.1226 0.0123 0.7375  5 O 2.36-2.60
La 0.1261 0.7376 0.0123  5 O 2.36-2.60
La 0.2496 0.1121 0.3879  2 O 2.32-2.60
La 0.2498 0.3879 0.1110  1 O 2.32
La 0.3746 0.4894 0.7607  5 O 2.38-2.60
La 0.3750 0.7609 0.4891  5 O 2.38-2.60
La 0.4999 0.1378 0.8617  2 O 2.32-2.60
La 0.5006 0.8617 0.1381  1 O 2.32
La 0.6251 0.2382 0.5120  5 O 2.36-2.60
La 0.6254 0.5119 0.2380  5 O 2.36-2.59
La 0.7452 0.6133 0.8883  5 O 2.34-2.61
La 0.7450 0.8885 0.6129  5 O 2.34-2.61
La 0.8732 0.2623 0.9874  5 O 2.42-2.59
La 0.8766 0.9874 0.2624  5 O 2.42-2.59
Co 0.1253 0.3746 0.3745  4 O 1.85-1.86
Co 0.3749 0.1249 0.1249  4 O 1.85-1.86
Co 0.6243 0.8754 0.8753  4 O 1.85-1.86
Co 0.8747 0.6253 0.6250  4 O 1.86-1.94
O 0.9998 0.1815 0.8196  1 Li 2.33, 1 La 2.34
O 0.0002 0.8197 0.1814  1 Li 2.33, 1 La 2.34
O 0.0564 0.6871 0.6870  1 Co 1.86, 1 Li 1.92
O 0.0679 0.1856 0.1851  1 Co 1.86, 1 Li 1.95
O 0.1254 0.1955 0.5541  1 Co 2.31, 1 La 2.36
O 0.1247 0.5546 0.1958  1 Co 2.31, 1 La 2.36
O 0.1888 0.0646 0.0640  1 Co 1.85, 1 Li 1.93
O 0.1933 0.5616 0.5617  1 Li 1.89, 1 Co 1.94
O 0.2484 0.5687 0.9319  1 La 2.32, 1 Li 2.34
O 0.2482 0.9320 0.5686  1 La 2.32, 1 Li 2.34
O 0.3101 0.4354 0.4353  1 Co 1.85, 1 Li 1.94
O 0.3188 0.9360 0.9359  1 Co 1.86, 1 Li 1.95
O 0.3741 0.9454 0.3042  1 Co 2.31, 1 La 2.38
O 0.3755 0.3047 0.9456  1 Co 2.31, 1 La 2.38
O 0.4308 0.3138 0.3136  1 Co 1.86, 1 Li 1.94
O 0.4385 0.8150 0.8147  1 Co 1.85, 1 Li 1.94
O 0.5011 0.3179 0.6816  1 La 2.32, 1 Li 2.35
O 0.5012 0.6816 0.3178  1 La 2.32, 1 Li 2.34
O 0.5561 0.6884 0.6884  1 Li 1.88, 1 Co 1.94
O 0.5611 0.1852 0.1857  1 Co 1.85, 1 Li 1.93
O 0.6237 0.6951 0.0545  1 Co 2.32, 1 La 2.36
O 0.6254 0.0548 0.6953  1 Co 2.32, 1 La 2.36
O 0.6817 0.0644 0.0644  1 Co 1.86, 1 Li 1.95
O 0.6932 0.5630 0.5630  1 Co 1.86, 1 Li 1.93
O 0.7498 0.0682 0.4304  1 Li 2.33, 1 La 2.34
O 0.7496 0.4304 0.0681  1 Li 2.34, 1 La 2.34
O 0.8100 0.9360 0.9360  1 Co 1.85, 1 Li 1.93
O 0.8204 0.4356 0.4356  1 Co 1.86, 1 Li 1.94
O 0.8750 0.4504 0.7994  1 Co 2.25, 1 La 2.42
O 0.8746 0.7995 0.4505  1 Co 2.25, 1 La 2.42
O 0.9293 0.8145 0.8145  1 Co 1.86, 1 Li 1.94
O 0.9405 0.3137 0.3136  1 Co 1.85, 1 Li 1.93

Results
The density comes out at 6.69 g/cm3. The value obtained for the uncorrected energy is -425.6 eV per cell. The energy above the lowest structure with this stoichiometry is 5 kJ/mol of formula units. The energy of formation from the pure elements comes out at -45.2 eV/f.u.

---

First-principles (PBE+U) data for an optimized crystal structure of Li3Fe8B8O24, as listed in Materials Project.

Unit cell a=5.2259 b=9.0745 c=11.3888 alpha=112.76 beta=103.21 gamma=90.63
Last column: nearest neighbours and their distance in Å.
Space group P1 (No. 1)
~~~

What to do >
Start at the top of the calculation results further above and transcribe each line, ending with the one that has "2.35".

Response >
First-principles (PBE+U) data for an optimized crystal structure of MnV2O6, as listed in Materials Project.

Unit cell a=14.6649 b=3.5955 c=9.6937 alpha=90.00 beta=113.12 gamma=90.00
Last column: nearest neighbours and their distance in Å.
Space group C2/m (No. 12)
Unique sites:
Mn 0.2502 0.0000 0.2497  6 O 2.10-2.27
V 0.0853 0.0000 0.8671  2 O 1.68-1.71
V 0.0856 0.5000 0.3669  2 O 1.68-1.71
O 0.0431 0.0000 0.3244  3 V 1.89-2.06
O 0.0430 0.5000 0.8244  3 V 1.89-2.06
O 0.1197 0.0000 0.0542  1 V 1.68
O 0.1197 0.5000 0.5543  1 V 1.68
O 0.1906 0.0000 0.8312  1 V 1.71
O 0.1906 0.5000 0.3312  1 V 1.71

Results
The density comes out at 3.57 g/cm3. The value obtained for the uncorrected energy is -274.9 eV per cell. The energy of formation from the pure elements comes out at -20.9 eV/f.u.

---

First-principles (PBE+U) data for an optimized crystal structure of LiLa4CoO8, as listed in Materials Project.

Unit cell a=5.3694 b=12.7992 c=12.8047 alpha=60.46 beta=78.15 gamma=78.20
Last column: nearest neighbours and their distance in Å.
Space group P1 (No. 1)
Unique sites:
Li 0.0000 0.0000 0.0000  4 O 1.93-1.95
Li 0.2474 0.7506 0.7504  4 O 1.88-1.94
Li 0.5021 0.4996 0.4994  4 O 1.89-1.94
Li 0.7496 0.2499 0.2499  4 O 1.93-1.95
La 0.0038 0.3620 0.6376  5 O 2.34-2.61
La 0.0044 0.6368 0.3617  5 O 2.34-2.61
La 0.1226 0.0123 0.7375  5 O 2.36-2.60
La 0.1261 0.7376 0.0123  5 O 2.36-2.60
La 0.2496 0.1121 0.3879  2 O 2.32-2.60
La 0.2498 0.3879 0.1110  1 O 2.32
La 0.3746 0.4894 0.7607  5 O 2.38-2.60
La 0.3750 0.7609 0.4891  5 O 2.38-2.60
La 0.4999 0.1378 0.8617  2 O 2.32-2.60
La 0.5006 0.8617 0.1381  1 O 2.32
La 0.6251 0.2382 0.5120  5 O 2.36-2.60
La 0.6254 0.5119 0.2380  5 O 2.36-2.59
La 0.7452 0.6133 0.8883  5 O 2.34-2.61
La 0.7450 0.8885 0.6129  5 O 2.34-2.61
La 0.8732 0.2623 0.9874  5 O 2.42-2.59
La 0.8766 0.9874 0.2624  5 O 2.42-2.59
Co 0.1253 0.3746 0.3745  4 O 1.85-1.86
Co 0.3749 0.1249 0.1249  4 O 1.85-1.86
Co 0.6243 0.8754 0.8753  4 O 1.85-1.86
Co 0.8747 0.6253 0.6250  4 O 1.86-1.94
O 0.9998 0.1815 0.8196  1 Li 2.33, 1 La 2.34
O 0.0002 0.8197 0.1814  1 Li 2.33, 1 La 2.34
O 0.0564 0.6871 0.6870  1 Co 1.86, 1 Li 1.92
O 0.0679 0.1856 0.1851  1 Co 1.86, 1 Li 1.95
O 0.1254 0.1955 0.5541  1 Co 2.31, 1 La 2.36
O 0.1247 0.5546 0.1958  1 Co 2.31, 1 La 2.36
O 0.1888 0.0646 0.0640  1 Co 1.85, 1 Li 1.93
O 0.1933 0.5616 0.5617  1 Li 1.89, 1 Co 1.94
O 0.2484 0.5687 0.9319  1 La 2.32, 1 Li 2.34
O 0.2482 0.9320 0.5686  1 La 2.32, 1 Li 2.34
O 0.3101 0.4354 0.4353  1 Co 1.85, 1 Li 1.94
O 0.3188 0.9360 0.9359  1 Co 1.86, 1 Li 1.95
O 0.3741 0.9454 0.3042  1 Co 2.31, 1 La 2.38
O 0.3755 0.3047 0.9456  1 Co 2.31, 1 La 2.38
O 0.4308 0.3138 0.3136  1 Co 1.86, 1 Li 1.94
O 0.4385 0.8150 0.8147  1 Co 1.85, 1 Li 1.94
O 0.5011 0.3179 0.6816  1 La 2.32, 1 Li 2.35